Sunday, November 3, 2013


For those of you who don’t know, I was actually initiated as a Traditional Healer. Although, I prefer  the title of ‘Spiritual Healer’, because like a Priest or Pastor, I can enter a room and you won’t know that I am a Healer.  Skins and Beads are overrated!.....Unless, you are attending a ritual gathering.

No, I am not Jesus, nor do I try to be, although my little nephews meekly call me, Uncle Jesus (Malume Jeso)...They mumble it at times, “M’lum Jeso.”  A title reserved for those who act humanely towards other fellow human beings. Not magicians*

No there’s no magic or conjuring of anything when I do my Healing. Actually, by  ‘healing’ I’m referring to ‘talk’ – I listen, and reciprocate my analysis on what I think about your dilemma. Some say I’m good at it, others mull over it and don’t say anything, but they always come back my way to solve their dilemmas.     

Now, here’s a thing. One rackety-rodent-rascal (I call him 3-R) nephew of mine, decided in his limited mind that because I help people, and I am a Writer and Poet, I am therefore an “Illluminati” and should be called the ‘GOATHEAD’.

At first when he christened me Uncle Goat, I thought he meant G.O.A.T, as in ‘Greatest-Of-All-Time’ However, his stares told a different story.  So, I sat him down and spoke to him, only to find out that the Donkey was mocking me, his Uncle, Uncle Jesus.  

Well, nephew 3-R! Uncle Jesus, ain’t no goat, and was born in 1979. Wait... come to think of it, according to the Chinese Calendar, 1979 was the year of...oh hell! Year of the Goat*  (I don’t want to say “bloody goat” that might give some peeps ideas, unwanted ideas)

It troubled me. Really, really troubled me. So, I started inwardly mewling over it, day and night. Am I a goat? Am I really, Uncle Goat? Thinking*

-- Someone pasted records of crystals at this point --
'''
# 1
For Zr3Be2Co5, the GGA-PBE geometry in Alexandria gives the theoretical X-ray diffraction stick pattern in this record (Cu Ka).
Lines closer than 0.1° are merged.

Most intense lines, 2θ from 10° to 80°, low angle first:
2θ = 35.59°, I 78.4; 2θ = 39.75°, I 42.1; 2θ = 41.51°, I 60.6; 2θ = 42.33°, I 100.0; 2θ = 45.21°, I 34.8; 2θ = 45.97°, I 22.4; 2θ = 56.76°, I 21.1; 2θ = 69.19°, I 19.7; 2θ = 72.73°, I 24.7; 2θ = 73.65°, I 18.2

```
Zr3Be2Co5
1.0
8.9700 0.0000 0.0000
0.0000 8.9700 0.0000
0.0000 0.0000 3.2438
Zr Be Co
6 4 10
Direct
0.0000 0.0000 0.0000
0.1754 0.3246 0.0000
0.3246 0.8246 0.0000
0.5000 0.5000 0.0000
0.6754 0.1754 0.0000
0.8246 0.6754 0.0000
0.1169 0.6169 0.0000
0.3831 0.1169 0.0000
0.6169 0.8831 0.0000
0.8831 0.3831 0.0000
0.0000 0.5000 0.5000
0.0700 0.7773 0.5000
0.2227 0.0700 0.5000
0.2773 0.5700 0.5000
0.4300 0.2773 0.5000
0.5000 0.0000 0.5000
0.5700 0.7227 0.5000
0.7227 0.4300 0.5000
0.7773 0.9300 0.5000
0.9300 0.2227 0.5000
```


# 2
For Mo4Au3, the GGA-PBE geometry in Alexandria gives the theoretical X-ray diffraction stick pattern in this record (Cu Ka).
Lines closer than 0.1° are merged.

Most intense lines, 2θ from 10° to 80°, low angle first:
2θ = 16.76°, I 6.9; 2θ = 29.60°, I 15.8; 2θ = 38.12°, I 59.8; 2θ = 40.24°, I 100.0; 2θ = 55.01°, I 21.4; 2θ = 58.58°, I 4.5; 2θ = 61.33°, I 6.6; 2θ = 63.70°, I 4.0; 2θ = 70.31°, I 38.5; 2θ = 74.54°, I 15.1

```
Mo4Au3
1.0
-1.6695 1.6695 10.5816
1.6695 -1.6695 10.5816
1.6695 1.6695 -10.5816
Mo Au
4 3
Direct
0.0767 0.0767 0.0000
0.3637 0.3637 0.0000
0.6363 0.6363 0.0000
0.9233 0.9233 0.0000
0.2138 0.2138 0.0000
0.5000 0.5000 0.0000
0.7862 0.7862 0.0000
```


# 3
For Pa2TaZn6, the GGA-PBE geometry in Alexandria gives the theoretical X-ray diffraction stick pattern in this record (Cu Ka).
Lines closer than 0.1° are merged.

Most intense lines, 2θ from 10° to 80°, low angle first:
2θ = 22.66°, I 42.8; 2θ = 37.40°, I 100.0; 2θ = 39.80°, I 65.1; 2θ = 46.28°, I 7.2; 2θ = 55.75°, I 31.3; 2θ = 60.87°, I 6.3; 2θ = 62.65°, I 6.2; 2θ = 70.66°, I 30.3; 2θ = 72.24°, I 10.8; 2θ = 75.22°, I 19.7

```
Pa2TaZn6
1.0
7.8465 0.0000 0.0000
-3.9233 6.7953 0.0000
0.0000 0.0000 3.0436
Pa Ta Zn
2 1 6
Direct
0.3333 0.6667 0.0000
0.6667 0.3333 0.0000
0.0000 0.0000 0.0000
0.0000 0.3184 0.5000
0.0000 0.6816 0.5000
0.3184 0.0000 0.5000
0.3184 0.3184 0.5000
0.6816 0.0000 0.5000
0.6816 0.6816 0.5000
```
'''
-- So much for the records of crystals --

Is there any symbolical meaning behind the ‘THE GOAT”? 

Well, I don’t certainly chew everything that comes my way, but I surely do mentally and spiritually imbibe it. Oh not food, I chew that....  Let’s see – I don’t have horns, and surely not goat-bearded. I’m certainly not a Goatman, or  a mythological creature, called  Satyr (No not Satan)  No, no I don’t cry like a goat, and no one in their right mind calls me, Billy - because that is not my name.... Although, I do call my member, Billy, for reasons known by a hand few women who’ve seen my member* Anyway, I am not  a ‘goat’.

Mxm! Nephew 3-R, you need therapy son! The only thing I’m chewing is words. Not paper! You crazy son! Stoetskool wena!

Being called an Illuminati is a compliment because as we all know ‘The Prophets of Illumination’ wrote the Holy Bible. What does that make their readers?

And there’s no bloody trail behind me*


Linda Sakazi Thwala

Linda Sakazi Thwala
Occupations: Journalist, Poet and Spiritual Healer
Contact: 0719727764


Anonymous said...

You are really talented! That was great(: !

Linda Sakazi Thwala said...

Thank you :-)